Research Outline

Book Market Analysis


To provide an analysis of and details on the traditional book publishing model over the last 10 years, as well as how it has been affected by the Covid-19 pandemic, and information on the best forms of publishing for highest ROI to inform the client’s business plans over the next year.

Early Findings

┌──
1.
The following is a DFT calculation (PBE) of an optimized crystal structure of Rb3USe4.

Cell and atoms, written as CIF:
```
data_Rb3USe4
_chemical_formula_sum 'Rb6 U2 Se8'
_cell_length_a 8.455
_cell_length_b 9.510
_cell_length_c 7.676
_cell_angle_alpha 90.00
_cell_angle_beta 109.31
_cell_angle_gamma 90.00
_space_group_name_H-M_alt 'P 1 2/c 1'
_space_group_IT_number 13
loop_
_space_group_symop_operation_xyz
'x,y,z'
'-x,-y,-z'
'-x,y,-z+1/2'
'x,-y,z+1/2'
loop_
_atom_site_label
_atom_site_type_symbol
_atom_site_fract_x
_atom_site_fract_y
_atom_site_fract_z
Rb1 Rb 0.000 0.112 0.250
Rb2 Rb 0.000 0.380 0.750
Rb3 Rb 0.500 0.387 0.250
U1 U 0.500 0.116 0.750
Se1 Se 0.286 0.315 0.552
Se2 Se 0.317 0.096 0.000
```

- Final energy: -76.01 eV per cell
- Energy above the most stable polymorph in this dataset: 0.0000 eV/atom

2.
The following is a DFT calculation (PBE) of an optimized crystal structure of Rb2U2Se5.

Cell and atoms, written as CIF:
```
data_Rb2U2Se5
_chemical_formula_sum 'Rb8 U8 Se20'
_cell_length_a 16.850
_cell_length_b 7.936
_cell_length_c 7.942
_cell_angle_alpha 90.00
_cell_angle_beta 90.00
_cell_angle_gamma 90.00
_space_group_name_H-M_alt 'C m c e'
_space_group_IT_number 64
_space_group_name_Hall '-C 2ac 2'
loop_
_atom_site_label
_atom_site_type_symbol
_atom_site_fract_x
_atom_site_fract_y
_atom_site_fract_z
Rb1 Rb 0.206 0.000 0.000
U1 U 0.000 0.160 0.340
Se1 Se 0.000 0.000 0.000
Se2 Se 0.108 0.145 0.645
```

- Final energy: -212.22 eV per cell
- Energy above the most stable polymorph in this dataset: 0.0000 eV/atom

3.
The following is a DFT calculation (PBE) of an optimized crystal structure of Rb4U3VSe8.

Cell and atoms, written as CIF:
```
data_Rb4U3VSe8
_chemical_formula_sum 'Rb12 U9 V3 Se24'
_cell_length_a 8.3200
_cell_length_b 8.3200
_cell_length_c 24.1889
_cell_angle_alpha 90.00
_cell_angle_beta 90.00
_cell_angle_gamma 120.00
_space_group_name_H-M_alt 'R -3 m'
_space_group_IT_number 166
_space_group_name_Hall '-R 3 2"'
loop_
_atom_site_label
_atom_site_type_symbol
_atom_site_fract_x
_atom_site_fract_y
_atom_site_fract_z
Rb1 Rb 0.0000 0.0000 0.0000
Rb2 Rb 0.0000 0.5000 0.0000
U1 U 0.0000 0.5000 0.5000
V1 V 0.0000 0.0000 0.5000
Se1 Se 0.0000 0.0000 0.2340
Se2 Se 0.0139 0.5069 0.2305
```

- Final energy: -278.22 eV per cell

4.
The following is a DFT calculation (PBE) of an optimized crystal structure of Rb2U2VSe6.

Cell and atoms, written as CIF:
```
data_Rb2U2VSe6
_chemical_formula_sum 'Rb4 U4 V2 Se12'
_cell_length_a 7.003
_cell_length_b 12.010
_cell_length_c 8.592
_cell_angle_alpha 90.00
_cell_angle_beta 106.18
_cell_angle_gamma 90.00
_space_group_name_H-M_alt 'C 1 2/m 1'
_space_group_IT_number 12
loop_
_space_group_symop_operation_xyz
'x,y,z'
'-x,-y,-z'
'-x,y,-z'
'x,-y,z'
'x+1/2,y+1/2,z'
'-x+1/2,-y+1/2,-z'
'-x+1/2,y+1/2,-z'
'x+1/2,-y+1/2,z'
loop_
_atom_site_label
_atom_site_type_symbol
_atom_site_fract_x
_atom_site_fract_y
_atom_site_fract_z
Rb1 Rb 0.000 0.170 0.000
U1 U 0.000 0.333 0.500
V1 V 0.000 0.000 0.500
└──

Changes to Book Publishing – 10 Years

  • Over the last decade, the book publishing industry has hosted a variety of changes. Self-publishing has blossomed into a viable market, competition from other media products has soared, and the rise of digital has meant that authors and publishers need to approach their craft from updated perspectives. According to Author News, “this decade has shown that regardless of the obstacles, the need for and the love of reading don’t seem to be going away anytime soon.”
  • At the beginning of this 10-year period came the self-publishing boom, concurrently with significantly increased competition among (and for) authors. Traditional publishers had to step up their games to compete in the markets flooding with new authors and published materials. Then, digital formats began surging in popularity, which meant “the future of bookstores was called into question.”
  • Although there are an array of articles decrying the near-end of the traditional publishing industry, however, research from the US government shows that, “US readers at the end of the decade spent roughly the same amount of money on recreational books as they had at the beginning.” Succinctly put, this means the average number of book readers in this country hasn’t changed much over the last 10 years.
  • Interestingly, research proves that, prior to the current pandemic, the traditional publishing market grew, and this meant growth not only for big-name publishers, but for small and medium-sized presses, as well. The number of books available in the marketplace has also grown, both with increases in self-publishing and traditional publishing, but so too have the additional media options related to the books themselves.
  • In the first few years of the previous decade, large booksellers, like Borders, went bankrupt, and once again, local stores and indie booksellers rose in popularity. These locals could create community-based personal experiences for authors and readers, which can’t be offered by online-only booksellers or some of the big brands.
  • A US consumer survey shows that print books rank well above any other types of media (at 42%) as “the most important type of media in a parent’s home,” while ebooks ranked in with only 9% of the vote. After a big jump in sales in the few years starting this decade (2008 – 2012), ebook sales have decreased and leveled off, though still sitting lower in total sales than hard cover books and trade paperbacks. Over the course of the decade, audio books have slowly gained in popularity since these products “meet new and current readers where they’re at,” and publishers have been improving their methods of engaging recreational readers.
  • The rise of instant-printing became a reality, allowing publishers to print copies of books on-demand, rather than making huge runs at the outset of a book launch. This and other new technologies “allowed traditional publishers to respond much more quickly to unexpected demand.”
  • Some publishers responded to the growth of audiobooks by producing “slick new productions that rivaled the golden age of radio drama,” or employed huge casts, and popular actors for voice work. The Idea Logical Company notes that audiobooks “were the fastest-growing segment” over this period.
  • Additionally, the past decade has seen the meteoric rise of the “girl” generation of books and stories, as well as a huge surge in the popularity of graphic novels.
  • Competition with other media, like streaming sites, video games, and social media, has made it more difficult for the book publishing industry to compete because “streaming and endless social media feeds take up even more of potential readers’ time.” Users seek out review sites, like Goodreads, for recommendations on which books to read next, and publishers should take advantage of those sites for promotion (where possible), as well as utilizing online retailer recommendation engines, and other technical methods for improving marketing positioning and availability / flexibility of the offerings.
  • Some experts, like those at, “fear that with Kindle, Amazon may be intending some day in the not too distant future on being a vertical publishing conglomerate of its own, avoiding any middlemen, any publishers, and taking the entire business from acquisition to the purchaser.” This would seriously hurt both the traditional and self-publishing industries, and would mean the end of many of these brands.

Changes to Book Publishing – Covid-19

  • Cision / PR Newswire reports that, “due to the economic slowdown across countries owing to the Covid-19 outbreak and measures to contain it,” the global book publishing market is expected to decline about 7.5%, going from $92.8 B in 2019 to $85.9 B by the end of 2020. The market is expected to experience a much slower recovery, and only grow at CAGR 2% between 2021 and 2023 (to $91.4 B).
  • Within the global marketplace, Asia-Pacific and North America tied with 34% of the market share (each).
  • Increasing availability and usage of consumer data is driving growth in this industry, and many successful publishers are utilizing digital-first models, with some of them “investing significantly in building in-house data and analytics teams.”
  • The pandemic has caused many booksellers to close their doors, temporarily, indefinitely, or permanently, and this has caused publishers to push back release dates for new titles. Experts state that books that were expected to be in high demand during lockdown periods, like those by celebrated or respected authors, or those focusing on surviving in the new normal, had their release dates moved up. Other books, like those for authors with tours planned, had their dates moved back, so that publishers could “wait for travel restrictions to ease, and stores to reopen,” giving their titles the best chance at success.
  • Additionally, some publishers had to rearrange schedules based on availability of staff, to adjust for effective marketing during the pandemic, and to adjust to new ways to release titles. Some publishers have increased their virtual events, have improved their online ordering systems, and are hosting partner activities, like “virtual poetry workshops in our local schools.”
  • All publishers, booksellers, and authors are finding innovative ways to generate “new content tied to recent releases,” and are getting creative with their marketing approaches based on what readers need and want at this time. They hope that their book-related “content can elevate above the noise of the pandemic,” and they can keep marketing momentum moving and high.
  • Publishers Weekly has been collecting impact-events to the publishing industry since the beginning of the pandemic. It might be useful to see the cancellations, closings, policy changes, and other adjustments as experienced by those in this industry. It can be found here.

- - -
(1)
A relaxed PuSnAs crystal, computed with PBE-GGA.

* uncorrected energy: -8.058 eV per atom
* theoretical density: 9.91 g/cm³
* total moment: 5.8 μB per formula unit
* SG: Cm

POSCAR file:
```
PuSnAs
1.0
4.014 -0.802 -0.653
1.240 6.107 0.133
-1.386 -1.024 5.907
Pu Sn As
2 2 2
Cartesian
0.790 -0.330 3.129
2.755 0.889 0.559
1.374 2.756 2.926
-0.061 4.176 5.538
3.501 3.967 1.367
3.322 0.678 4.317
```

---

(2)
A relaxed Nd8Sb2Pt crystal, computed with PBE-GGA.

* uncorrected energy: -5.355 eV per atom
* theoretical density: 7.56 g/cm³
* total moment: 0.0 μB per formula unit
* ΔE_f (raw): -0.589 eV/atom
* SG: C2/m

POSCAR file:
```
Nd8Sb2Pt
1.0
-2.612 -3.334 -2.071
4.609 0.298 -6.292
6.039 -5.097 5.954
Nd Pt Sb
8 1 2
Cartesian
6.093 -5.330 0.896
1.943 -2.803 -3.306
0.252 -3.721 0.306
7.784 -4.412 -2.715
3.643 -2.788 -0.106
4.393 -5.345 -2.303
4.376 -8.270 2.426
3.660 0.136 -4.835
-1.306 -1.667 -1.036
5.243 -2.246 -2.998
2.793 -5.888 0.588
```

---

(3)
A relaxed PrEr2Hf crystal, computed with PBE-GGA.

* distance to the lowest polymorph of the same formula: 104 meV/atom
* uncorrected energy: -5.747 eV per atom
* theoretical density: 9.10 g/cm³
* total moment: 0.0 μB per formula unit
* SG: P4/mmm

POSCAR file:
```
PrEr2Hf
1.0
-0.329 -2.807 -2.766
0.779 -2.767 2.716
-7.451 -0.616 1.510
Hf Pr Er
1 1 2
Cartesian
0.225 -2.787 -0.025
-3.500 -3.095 0.730
-5.866 -0.485 1.189
-1.585 -0.131 0.321
```

---

> Which formula does entry 2 have?

Nd8Sb2Pt

---

Please write out number 3 again, unchanged.
A relaxed PrEr2Hf crystal, computed with PBE-GGA.

* distance to the lowest polymorph of the same formula: 104 meV/atom
* uncorrected energy: -5.747 eV per atom
* theoretical density: 9.10 g/cm³
* total moment: 0.0 μB per formula unit
* SG: P4/mmm

POSCAR file:
```
PrEr2Hf
1.0
-0.329 -2.807 -2.766
0.779 -2.767 2.716
-7.451 -0.616 1.510
Hf Pr Er
1 1 2
Cartesian
0.225 -2.787 -0.025
-3.500 -3.095 0.730
-5.866 -0.485 1.189
-1.585 -0.131 0.321
```


Compound: LiRh
Source: Alexandria
Functional: GGA-PBE
Structure: relaxed

a = 2.799 Å, b = 2.799 Å, c = 7.097 Å
α = 90.00°, β = 90.00°, γ = 90.00°
Atoms (fractional coordinates):
Li  0.250  0.250  0.135
Li  0.750  0.750  0.865
Rh  0.250  0.250  0.624
Rh  0.750  0.750  0.376

## Properties
Energy of formation from the pure elements = -0.07 eV per atom
Total magnetization = 0.00 Bohr magnetons per cell

***

Compound: LiRh
Source: Alexandria
Functional: GGA-PBE
Structure: relaxed

a = 4.044 Å, b = 4.044 Å, c = 4.800 Å
α = 90.00°, β = 90.00°, γ = 120.00°
Atoms (fractional coordinates):
Li  0.333  0.667  0.250
Li  0.667  0.333  0.750
Rh  0.000  0.000  0.000
Rh  0.000  0.000  0.500

## Properties
Energy of formation from the pure elements = 0.47 eV per atom
Total magnetization = 0.65 Bohr magnetons per cell

***

Compound: Li3Rh2
Source: Alexandria
Functional: GGA-PBE
Structure: relaxed

a = 2.702 Å, b = 2.702 Å, c = 33.491 Å
α = 90.00°, β = 90.00°, γ = 120.00°
Atoms (fractional coordinates):
Li  0.000  0.000  0.000
- - -
• So much for the records of crystals:

Summary of Initial Findings

  • Our initial research identified some of the major ways book publishing has changed in the last 10 years, as well as a result of the current coronavirus pandemic.